### Activity
Your job: count the lines underneath that contain the word "at" and give the number alone.

### Excerpt
-- begin --
1.
The following is a DFT calculation (GGA-PBE) of crystalline Ba2SmNbO6 at its relaxed geometry.

Calculated values
crystal system = cubic
calculated total energy = -7.819 eV per atom
calculated formation energy = -3.396 eV/atom

Unit cell a=8.660 b=8.660 c=8.660 alpha=90.00 beta=90.00 gamma=90.00
Space group Fm-3m (No. 225)
Unique sites:
1 Ba 0.250 0.250 0.250 [8 per cell]
2 Sm 0.000 0.000 0.000 [4 per cell]
3 Nb 0.000 0.000 0.500 [4 per cell]
4 O 0.000 0.000 0.266 [24 per cell]

---

2.
The following is a DFT calculation (GGA-PBE) of crystalline Ba16Tb8Nb5Sn3O48 at its relaxed geometry.

Calculated values
crystal system = tetragonal
calculated total energy = -7.427 eV per atom
calculated formation energy = -3.241 eV/atom

Unit cell a=6.081 b=6.081 c=34.547 alpha=90.00 beta=90.00 gamma=90.00
Space group P4 (No. 75)
Unique sites:
1 Ba 0.000 0.500 0.000 [2 per cell]
2 Ba 0.000 0.500 0.123 [2 per cell]
3 Ba 0.000 0.500 0.249 [2 per cell]
4 Ba 0.000 0.500 0.373 [2 per cell]
5 Ba 0.000 0.500 0.499 [2 per cell]
6 Ba 0.000 0.500 0.624 [2 per cell]
7 Ba 0.000 0.500 0.749 [2 per cell]
8 Ba 0.000 0.500 0.874 [2 per cell]
9 Tb 0.000 0.000 0.061 [1 per cell]
10 Tb 0.000 0.000 0.311 [1 per cell]
11 Tb 0.000 0.000 0.437 [1 per cell]
12 Tb 0.000 0.000 0.811 [1 per cell]
13 Tb 0.500 0.500 0.186 [1 per cell]
14 Tb 0.500 0.500 0.561 [1 per cell]
15 Tb 0.500 0.500 0.687 [1 per cell]
16 Tb 0.500 0.500 0.937 [1 per cell]
17 Nb 0.000 0.000 0.186 [1 per cell]
18 Nb 0.000 0.000 0.686 [1 per cell]
19 Nb 0.000 0.000 0.937 [1 per cell]
20 Nb 0.500 0.500 0.436 [1 per cell]
21 Nb 0.500 0.500 0.812 [1 per cell]
22 Sn 0.000 0.000 0.562 [1 per cell]
23 Sn 0.500 0.500 0.061 [1 per cell]
24 Sn 0.500 0.500 0.311 [1 per cell]
25 O 0.000 0.000 0.127 [1 per cell]
26 O 0.000 0.000 0.244 [1 per cell]
27 O 0.000 0.000 0.374 [1 per cell]
28 O 0.000 0.000 0.502 [1 per cell]
29 O 0.000 0.000 0.626 [1 per cell]
30 O 0.000 0.000 0.745 [1 per cell]
31 O 0.000 0.000 0.877 [1 per cell]
32 O 0.000 0.000 0.995 [1 per cell]
33 O 0.226 0.756 0.687 [4 per cell]
34 O 0.227 0.756 0.186 [4 per cell]
35 O 0.227 0.756 0.936 [4 per cell]
36 O 0.232 0.249 0.562 [4 per cell]
37 O 0.250 0.267 0.061 [4 per cell]
38 O 0.252 0.269 0.312 [4 per cell]
39 O 0.255 0.273 0.811 [4 per cell]
40 O 0.256 0.727 0.436 [4 per cell]
41 O 0.500 0.500 0.001 [1 per cell]
42 O 0.500 0.500 0.122 [1 per cell]
43 O 0.500 0.500 0.251 [1 per cell]
44 O 0.500 0.500 0.376 [1 per cell]
45 O 0.500 0.500 0.494 [1 per cell]
46 O 0.500 0.500 0.625 [1 per cell]
47 O 0.500 0.500 0.753 [1 per cell]
48 O 0.500 0.500 0.871 [1 per cell]

---

3.
The following is a DFT calculation (GGA-PBE) of crystalline BaYNbSnO6 at its relaxed geometry.

Calculated values
crystal system = triclinic
polymorph energy (0 for the lowest one) = 0 meV per atom
calculated total energy = -7.808 eV per atom
calculated formation energy = -3.002 eV/atom

Unit cell a=5.933 b=5.978 c=8.495 alpha=90.43 beta=90.18 gamma=90.60
Space group P-1 (No. 2)
Unique sites:
1 Ba 0.005 0.020 0.249 [2 per cell]
2 Y 0.000 0.500 0.000 [1 per cell]
3 Y 0.500 0.000 0.500 [1 per cell]
4 Nb 0.000 0.500 0.500 [1 per cell]
5 Nb 0.500 0.000 0.000 [1 per cell]
6 Sn 0.495 0.486 0.753 [2 per cell]
7 O 0.092 0.494 0.735 [2 per cell]
8 O 0.196 0.771 0.475 [2 per cell]
9 O 0.225 0.804 0.017 [2 per cell]
10 O 0.268 0.301 0.448 [2 per cell]
11 O 0.305 0.276 0.044 [2 per cell]
12 O 0.446 0.032 0.765 [2 per cell]

---

4.
The following is a DFT calculation (GGA-PBE) of crystalline BaYNbSnO6 at its relaxed geometry.

Calculated values
crystal system = cubic
polymorph energy (0 for the lowest one) = 41 meV per atom
calculated total energy = -7.767 eV per atom
calculated formation energy = -2.961 eV/atom

Unit cell a=8.498 b=8.498 c=8.498 alpha=90.00 beta=90.00 gamma=90.00
Space group F-43m (No. 216)
Unique sites:
1 Ba 0.000 0.000 0.000 [4 per cell]
2 Y 0.250 0.250 0.250 [4 per cell]
3 Nb 0.250 0.250 0.750 [4 per cell]
4 Sn 0.000 0.000 0.500 [4 per cell]
-- stop --

### Result
4